Fiduciary, Fee-Only Friends Found All Around the World

A Wendy’s Wednesday Whimsy

As we reflect on the outcome of yesterday’s presidential elections, you may enjoy a reminder that, big picture, the world has a way of continuing to turn, come what may. My personal inspiration came last week when I took a little longer than usual to knock off for the day, scheduling a 6 pm Skype with a new friend I’d recently met: Phil Stockton of Private Capital Ltd.

BREAKING NEWS: As I was putting together this week’s whimsy, I was delighted to see that my British communications colleague and Evidence-Based Investor author Robin Powell published a podcast conversation between us. In “What’s With the Name?” we explore the origin and meaning of Evidence-Based Investing. I also happened to mention my conversation with Phil toward the end. I do hope you’ll give the show a listen. We’re all one, big happy global family!

Now, back to my own post: I was willing to delay happy hour last week, because my Wednesday evening was Phil’s Thursday morning, and another busy day for him as he and his partners Rick Adkinson and Mathew Bate are spreading the mostly unheard-of word on evidence-based investing to families sorely in need of hearing more about it – in Hong Kong.

┌──
1.
# TiMnH12O6F6
Theoretical powder diffraction line list, λ = 1.5418 Å (Cu Kα). Input: a GGA+U-relaxed structure.
No peak broadening, texture or thermal motion is included.

Peak list (8 most intense, 10 to 90 degrees two-theta, low angle first)
2θ (°), intensity
18.0, 100.0
20.4, 61.6
29.0, 29.2
32.9, 37.5
45.4, 16.7
45.5, 19.2
48.8, 12.6
52.8, 10.9

Structural model:
a = 6.620 Å, b = 6.622 Å, c = 6.640 Å
α = 96.26°, β = 96.31°, γ = 96.34°
Sites, in units of the cell vectors:
Ti 0.000 0.000 0.000
Mn 0.500 0.500 0.500
H 0.096 0.457 0.290
H 0.178 0.694 0.315
H 0.290 0.096 0.457
H 0.307 0.685 0.822
H 0.315 0.177 0.694
H 0.456 0.290 0.096
H 0.544 0.710 0.904
H 0.685 0.823 0.306
H 0.693 0.315 0.178
H 0.710 0.904 0.543
H 0.822 0.306 0.685
H 0.904 0.543 0.710
O 0.199 0.564 0.367
O 0.367 0.199 0.564
O 0.437 0.633 0.801
O 0.563 0.367 0.199
O 0.633 0.801 0.436
O 0.801 0.436 0.633
F 0.062 0.754 0.860
F 0.141 0.937 0.246
F 0.247 0.140 0.937
F 0.753 0.860 0.063
F 0.859 0.063 0.754
F 0.938 0.246 0.140

---

2.
# V3HPb5O13
Theoretical powder diffraction line list, λ = 1.5418 Å (Cu Kα). Input: a GGA+U-relaxed structure.
No peak broadening, texture or thermal motion is included.

Peak list (8 most intense, 10 to 90 degrees two-theta, low angle first)
2θ (°), intensity
25.6, 38.2
26.3, 40.4
28.9, 100.0
29.2, 85.0
29.9, 50.7
42.3, 38.3
44.8, 33.7
47.1, 35.7

Structural model:
a = 10.361 Å, b = 10.361 Å, c = 7.563 Å
α = 90.00°, β = 90.00°, γ = 120.00°
Sites, in units of the cell vectors:
V 0.030 0.399 0.000
V 0.369 0.970 0.000
V 0.399 0.369 0.500
V 0.601 0.631 0.000
V 0.631 0.030 0.500
V 0.970 0.601 0.500
H 0.000 0.000 0.192
H 0.000 0.000 0.692
Pb 0.007 0.756 0.006
Pb 0.244 0.251 0.006
Pb 0.251 0.007 0.506
Pb 0.333 0.667 0.255
Pb 0.333 0.667 0.739
Pb 0.667 0.333 0.239
Pb 0.667 0.333 0.755
Pb 0.749 0.993 0.006
Pb 0.756 0.749 0.506
Pb 0.993 0.244 0.506
O 0.000 0.000 0.063
O 0.000 0.000 0.563
O 0.087 0.337 0.818
O 0.096 0.346 0.182
O 0.125 0.595 0.997
O 0.163 0.673 0.503
O 0.250 0.904 0.182
O 0.250 0.913 0.818
O 0.327 0.491 0.503
O 0.337 0.250 0.318
O 0.346 0.250 0.682
O 0.405 0.530 0.997
O 0.470 0.875 0.997
O 0.491 0.163 0.003
O 0.509 0.837 0.503
O 0.530 0.125 0.497
O 0.595 0.470 0.497
O 0.654 0.750 0.182
O 0.663 0.750 0.818
O 0.673 0.509 0.003
O 0.750 0.087 0.318
O 0.750 0.096 0.682
O 0.837 0.327 0.003
O 0.875 0.405 0.497
O 0.904 0.654 0.682
O 0.913 0.663 0.318

---

3.
# Li3CrSi2O7
Theoretical powder diffraction line list, λ = 1.5418 Å (Cu Kα). Input: a GGA+U-relaxed structure.
No peak broadening, texture or thermal motion is included.

Peak list (8 most intense, 10 to 90 degrees two-theta, low angle first)
2θ (°), intensity
14.2, 92.6
21.2, 42.2
21.5, 98.3
24.6, 34.5
24.9, 48.4
35.1, 100.0
35.8, 30.4
62.9, 26.0

Structural model:
a = 8.896 Å, b = 12.475 Å, c = 5.018 Å
α = 90.00°, β = 90.00°, γ = 90.00°
Sites, in units of the cell vectors:
Li 0.015 0.250 0.032
Li 0.158 0.590 0.536
Li 0.158 0.910 0.536
Li 0.342 0.090 0.036
Li 0.342 0.410 0.036
Li 0.485 0.750 0.532
└──
The data records stop here

My husband joked that I should have been in touch with Phil yesterday morning (Tuesday, Nov. 8) to get an advance report on the day’s election results.

Mind-boggling time zone calculations aside, the rest of my Skype conversation with Phil was a reminder that, no matter where in the world you are, an evidence-based adviser can expect similar challenges.

The names of the regulatory agencies and the levels of consumer protection they offer may differ. The level of financial literacy among the general public may be more or less advanced. The availability of factor-based fund solutions may be more or less abundant – as may like-minded, evidence-based colleagues helping to spread the word.

But, as Phil observed, one universal truth remains:

“If your morale code points in a given direction, evidence-based investing is the logical conclusion.”

Here are excerpts from our conversation.

Why Hong Kong?

Before becoming a co-owner at Private Capital Ltd., Phil was with the Royal Bank of Scotland. Something didn’t feel right, though, and he was ready to spread his wings. He chose Hong Kong somewhat arbitrarily, at first seeking to set up his own business in a way that wouldn’t be too “salesy.”

As he was looking around for opportunities, he was introduced to Rick, who had relocated from England to Hong Kong under similar circumstances, and had founded Private Capital Ltd. in 1998. As their website proudly proclaims, their shared vision to pioneer fee-only investment advice in Hong Kong brought them together. That was about 14 years ago, and the pioneering continues.

How has Private Capital Ltd. evolved?

“From day one,” says Phil, “we tried to do things right. Early on, we turned our back on commission-based products and have been fee-only for the past 10 years. We also transitioned away from traditional active funds, especially in 2006–2009.”

Up to about a year ago, their fund line-up was about 50/50 active/passive. Based on availability of appropriate solutions, that was by necessity rather than desire. At least in part through Phil’s raw drive (let’s just say the man doesn’t seem to need any coffee to keep a conversation going full-tilt), Dimensional Fund Advisors (Dimensional) recently opened up its fund offerings to Hong Kong’ Professional Investors, via approved firms like Private Capital.

What is the financial industry like in Hong Kong?

Here in the U.S., we’ve been fortunate to have made significant advances in financial practices such as fee-only, fiduciary and evidence-based investing. These same practices remain considerably more revolutionary in Hong Kong. “We’re probably at least 10 years behind the rest of the developed world,” says Phil.

A British colony until 1997, Hong Kong is now a Special Administrative Region of China, in theory to be governed under the principle of “one country, two systems” for at least the next several decades.

“Hong Kong is tiny in many ways, but in some metrics we’re huge,” says Phil. He notes that the region is the sixth largest financial center in the world.

Every country also has its regulatory red tape, and Phil describes how Hong Kong is no exception. Immediately reporting to the government is the Financial Services and the Treasury Bureau, or the FSTB. Under that are four regulatory pillars, respectively tasked with overseeing the banks, markets and securities, insurance agencies and pensions. Each often compete or rub against one another, as you might expect. To add to the fun, the industry’s law-making body is largely overseen by industry professionals (functional constituencies) rather than government officials.

“It’s hard to [get them] to enact laws that would hurt their businesses,” Phil observes, although he also describes international pressure pushing on them to improve things. “The wind is blowing,” says Phil. “Dimensional’s coming in right on the cusp.”

# Misplaced data records
=====
Simulated powder diffraction line list
Compound: Dy3Ge3Rh2
Radiation: a wavelength of 1.5418 Å
Structure: DFT lattice parameters and positions (PBE)

Most intense lines, 15 to 90 degrees two-theta, low angle first:
- 33.51°, I 100, hkl 2 4 0
- 34.09°, I 49, hkl 1 1 2
- 36.85°, I 26, hkl 3 0 1
- 37.18°, I 42, hkl 2 4 1
- 37.41°, I 20, hkl 3 1 1
- 37.94°, I 22, hkl 0 6 0
- 38.63°, I 60, hkl 1 3 2
- 41.64°, I 20, hkl 3 3 1
- 42.26°, I 21, hkl 1 4 2
- 47.66°, I 28, hkl 4 0 1

```
data_Dy3Ge3Rh2
_chemical_formula_sum 'Dy12 Ge12 Rh8'
_space_group_name_H-M_alt 'P 1'
_space_group_IT_number 1
_cell_length_a 8.105
_cell_length_b 14.230
_cell_length_c 5.671
_cell_angle_alpha 90.00
_cell_angle_beta 90.00
_cell_angle_gamma 90.00
loop_
_space_group_symop_operation_xyz
'x,y,z'
loop_
_atom_site_label
_atom_site_type_symbol
_atom_site_fract_x
_atom_site_fract_y
_atom_site_fract_z
_atom_site_occupancy
Dy1 Dy 0.041 0.112 0.122 1
Dy2 Dy 0.041 0.388 0.122 1
Dy3 Dy 0.188 0.250 0.634 1
Dy4 Dy 0.312 0.750 0.134 1
Dy5 Dy 0.459 0.612 0.622 1
Dy6 Dy 0.459 0.888 0.622 1
Dy7 Dy 0.541 0.112 0.378 1
Dy8 Dy 0.541 0.388 0.378 1
Dy9 Dy 0.688 0.250 0.866 1
Dy10 Dy 0.812 0.750 0.366 1
Dy11 Dy 0.959 0.612 0.878 1
Dy12 Dy 0.959 0.888 0.878 1
Ge1 Ge 0.168 0.750 0.613 1
Ge2 Ge 0.202 0.037 0.625 1
Ge3 Ge 0.202 0.463 0.625 1
Ge4 Ge 0.298 0.537 0.125 1
Ge5 Ge 0.298 0.963 0.125 1
Ge6 Ge 0.332 0.250 0.113 1
Ge7 Ge 0.668 0.750 0.887 1
Ge8 Ge 0.702 0.037 0.875 1
Ge9 Ge 0.702 0.463 0.875 1
Ge10 Ge 0.798 0.537 0.375 1
Ge11 Ge 0.798 0.963 0.375 1
Ge12 Ge 0.832 0.250 0.387 1
Rh1 Rh 0.078 0.599 0.383 1
Rh2 Rh 0.078 0.901 0.383 1
Rh3 Rh 0.422 0.099 0.883 1
Rh4 Rh 0.422 0.401 0.883 1
Rh5 Rh 0.578 0.599 0.117 1
Rh6 Rh 0.578 0.901 0.117 1
Rh7 Rh 0.922 0.099 0.617 1
Rh8 Rh 0.922 0.401 0.617 1
```

~~~~~

This entry pairs a crystal structure of CaPm3Hg5 with its theoretical X-ray powder pattern. Radiation: Cu Kα. Structure: DFT lattice parameters and positions (PBE).
Kinematic intensities with the Lorentz-polarization factor, no thermal factor.

Peak list (12 most intense, 2θ = 15–90°, sorted by position)
| 2θ/deg | I (rel.) |
| --- | --- |
| 26.97 | 11 |
| 32.50 | 21 |
| 33.30 | 97 |
| 33.53 | 100 |
| 43.54 | 12 |
| 47.98 | 31 |
| 55.60 | 9 |
| 59.80 | 28 |
| 59.95 | 13 |
| 66.49 | 36 |
| 80.20 | 10 |
| 86.22 | 11 |

Cell and atoms:
```
data_CaPm3Hg5
_chemical_formula_sum 'Ca2 Pm6 Hg10'
_cell_length_a 9.2581
_cell_length_b 9.2581
_cell_length_c 6.6124
_cell_angle_alpha 90.00
_cell_angle_beta 90.00
_cell_angle_gamma 120.00
_space_group_name_H-M_alt 'P 63/m c m'
_space_group_IT_number 193
_space_group_name_Hall '-P 6c 2'
loop_
_atom_site_label
_atom_site_type_symbol
_atom_site_fract_x
_atom_site_fract_y
_atom_site_fract_z
Ca1 Ca 0.0000 0.0000 0.0000
Pm1 Pm 0.0000 0.3651 0.2500
Hg1 Hg 0.0000 0.3019 0.7500
Hg2 Hg 0.3333 0.6667 0.0000
```


This entry pairs a crystal structure of LaNd4Te5 with its theoretical X-ray powder pattern. Radiation: Cu Kα. Structure: DFT lattice parameters and positions (PBE).
=====

What does the future hold?

Without getting too deeply into global politics, Phil feels that, while civil liberties are far more limited, there is a financial openness in Hong Kong and China alike. “China has embraced capitalism in a big, big way,” he observes.

In short, Phil is optimistic about the future. He believes Private Capital is the only Hong Kong financial advisory firm that has been fee-based for as long as it has, but he is glad to be welcoming other companies as they transition to a like-minded view. Already, they and another firm based in Singapore have formed a study group, with an inaugural meeting scheduled to discuss best practices as they and Dimensional continue to make inroads into Hong Kong.

“The environment in Hong Kong is like being in a petri dish,” says Phil. “Everything is so small and yet so in your face.”

Personally, I’m looking forward to more face-time with Phil and friends.